United States or Saint Martin ? Vote for the TOP Country of the Week !

Through the ensuing interchange of concise and rapid speech there sounded in Millner's ears the refrain to which he had walked down Fifth Avenue after his first talk with Mr. Spence: "It's too easy it's too easy it's too easy." Yes, it was even easier than he had expected. His sensation was that of the skilful carver who feels his good blade sink into a tender joint.

In a less settled country, or where there is an old forest growth, as along the lower Ohio and upon the banks of the Mississippi, fallen trees, with resinous, dry hearts, can be found; and even during a heavy fall of rain a skilful use of the axe will bring out these ancient interiors to cheer the voyager's heart by affording him excellent fuel for his camp-fire.

It is said by old hunters accustomed to shoot small game, however skilful in the use of fire-arms they may be, that the first time they see a large animal, a deer, for example, such a nervous excitement seizes them, although the creature stands within a few feet of them, for an instant they cannot command themselves to fire; and when they do, they are sure to miss the object.

As Darius has studied the wisdom of Egypt and the signs of the starry heavens, I beg him to take this circlet of gold, on which a skilful hand has traced the signs of the Zodiac.

-- The page is interrupted by crystal structures --
(1)
# Ba6Li2Ti16O39 PBE relaxed
data_Ba6Li2Ti16O39
_space_group_name_H-M_alt 'C 1 2/m 1'
_space_group_IT_number 12
_cell_length_a 15.326
_cell_length_b 11.813
_cell_length_c 9.198
_cell_angle_alpha 90.00
_cell_angle_beta 98.73
_cell_angle_gamma 90.00
loop_
_space_group_symop_operation_xyz
'x,y,z'
'-x,-y,-z'
'-x,y,-z'
'x,-y,z'
'x+1/2,y+1/2,z'
'-x+1/2,-y+1/2,-z'
'-x+1/2,y+1/2,-z'
'x+1/2,-y+1/2,z'
loop_
_atom_site_label
_atom_site_type_symbol
_atom_site_fract_x
_atom_site_fract_y
_atom_site_fract_z
Ba1 Ba 0.051 0.000 0.272
Ba2 Ba 0.053 0.339 0.268
Li1 Li 0.239 0.500 0.269
Ti1 Ti 0.121 0.161 0.597
Ti2 Ti 0.122 0.500 0.586
Ti3 Ti 0.166 0.500 0.944
Ti4 Ti 0.171 0.161 0.937
Ti5 Ti 0.243 0.169 0.270
O1 O 0.000 0.172 0.500
O2 O 0.000 0.500 0.500
O3 O 0.072 0.165 0.797
O4 O 0.072 0.500 0.799
O5 O 0.120 0.500 0.108
O6 O 0.123 0.000 0.602
O7 O 0.133 0.168 0.118
O8 O 0.137 0.332 0.615
O9 O 0.162 0.500 0.418
O10 O 0.169 0.167 0.414
O11 O 0.198 0.000 0.937
O12 O 0.202 0.333 0.930
O13 O 0.236 0.172 0.742
O14 O 0.239 0.500 0.738
# **Total magnetic moment**: 0.0 μB/f.u.
# **E_tot**: -1052.340 eV per cell
# **Corrected total energy (MP2020 scheme)**: -552.96 eV/f.u.
# **DFT formation energy**: -21065.9 kJ/mol of formula units

---

(2)
# Li2SnIr PBE relaxed
data_Li2SnIr
_space_group_name_H-M_alt 'F -4 3 m'
_space_group_IT_number 216
_space_group_name_Hall 'F -4 2 3'
_cell_length_a 6.288
_cell_length_b 6.288
_cell_length_c 6.288
_cell_angle_alpha 90.00
_cell_angle_beta 90.00
_cell_angle_gamma 90.00
loop_
_atom_site_label
_atom_site_type_symbol
_atom_site_fract_x
_atom_site_fract_y
_atom_site_fract_z
Li1 Li 0.000 0.000 0.000
Li2 Li 0.250 0.250 0.250
Sn1 Sn 0.000 0.000 0.500
Ir1 Ir 0.250 0.250 0.750
# **E_tot**: -73.278 eV per cell
# **DFT formation energy**: -159.6 kJ/mol of formula units

---

Copy entry 1 word for word.
# Ba6Li2Ti16O39 PBE relaxed
data_Ba6Li2Ti16O39
_space_group_name_H-M_alt 'C 1 2/m 1'
_space_group_IT_number 12
_cell_length_a 15.326
_cell_length_b 11.813
_cell_length_c 9.198
_cell_angle_alpha 90.00
_cell_angle_beta 98.73
_cell_angle_gamma 90.00
loop_
_space_group_symop_operation_xyz
'x,y,z'
'-x,-y,-z'
'-x,y,-z'
'x,-y,z'
'x+1/2,y+1/2,z'
'-x+1/2,-y+1/2,-z'
'-x+1/2,y+1/2,-z'
'x+1/2,-y+1/2,z'
loop_
_atom_site_label
_atom_site_type_symbol
_atom_site_fract_x
_atom_site_fract_y
_atom_site_fract_z
Ba1 Ba 0.051 0.000 0.272
Ba2 Ba 0.053 0.339 0.268
Li1 Li 0.239 0.500 0.269
Ti1 Ti 0.121 0.161 0.597
Ti2 Ti 0.122 0.500 0.586
Ti3 Ti 0.166 0.500 0.944
Ti4 Ti 0.171 0.161 0.937
Ti5 Ti 0.243 0.169 0.270
O1 O 0.000 0.172 0.500
O2 O 0.000 0.500 0.500
O3 O 0.072 0.165 0.797
O4 O 0.072 0.500 0.799
O5 O 0.120 0.500 0.108
O6 O 0.123 0.000 0.602
O7 O 0.133 0.168 0.118
O8 O 0.137 0.332 0.615
O9 O 0.162 0.500 0.418
O10 O 0.169 0.167 0.414
O11 O 0.198 0.000 0.937
O12 O 0.202 0.333 0.930
O13 O 0.236 0.172 0.742
O14 O 0.239 0.500 0.738
# **Total magnetic moment**: 0.0 μB/f.u.
# **E_tot**: -1052.340 eV per cell
# **Corrected total energy (MP2020 scheme)**: -552.96 eV/f.u.
-- The crystal structures stop here --

I will not be a charge to you, or eat the bread of idleness; for I am more skilful in weaving and embroidery than all the maidens of my land." And she was going on; but Dictys stopped her, and raised her up, and said: "My daughter, I am old, and my hairs are growing grey; while I have no children to make my home cheerful.

Leaving out of consideration the tubicolous annelidæ, the mussels and stone-boring molluscs, the weaving caterpillars, and finally spiders, even the non-social hymenoptera present, among many insects, examples of a very skilful adaptation of materials.

/*
Sr3Al2Cl2O5 GGA-PBE relaxed; crystal system = orthorhombic; total DFT energy (no corrections) = -303.88 eV for the cell shown; E (MP2020) = -6.6172 eV/atom; size of the total moment = 0.00 μB/f.u.; ΔE_f = -3.20 eV per atom; mass density = 3.61 g/cm³
1.0
-9.170 -2.404 0.600
2.068 -6.154 6.955
-1.373 6.848 6.468
O Sr Cl Al
20 12 8 8
Cartesian
-2.560 -7.186 7.265
-2.222 -1.854 11.991
-3.881 -1.344 9.624
0.282 -0.613 2.730
0.162 0.365 6.697
-4.242 -0.881 6.837
-0.682 3.449 3.408
-1.666 1.339 1.725
-8.037 -4.618 8.168
-8.315 -1.648 13.945
-9.464 1.196 10.534
-1.288 -2.557 9.257
-3.374 -4.254 3.832
-5.421 2.116 3.570
-3.252 5.295 7.532
-5.919 0.532 8.694
-5.312 3.154 7.522
-6.062 -3.878 3.000
-6.346 -2.282 8.255
-7.142 -3.439 5.634
-4.214 0.450 11.394
-1.354 -3.102 3.005
-2.093 -5.298 8.785
-4.713 -2.757 5.305
-7.664 -6.401 6.396
-8.323 -0.270 8.909
-1.820 4.904 5.046
-1.851 -0.823 7.491
-0.117 1.248 4.413
-7.975 4.515 7.528
-4.952 1.282 5.842
-5.769 -4.012 10.020
-8.036 1.567 6.412
-4.879 -5.194 7.235
-2.168 2.292 6.777
-1.321 0.731 10.183
-2.712 -0.526 4.214
-6.722 -1.383 11.388
-1.556 -3.625 6.166
-6.502 -0.705 3.713
-7.544 -3.990 3.985
-5.857 2.286 8.982
0.397 -3.054 8.960
-4.706 4.638 6.739
-5.096 -1.015 8.360
-2.679 -2.429 10.372
-0.791 -0.170 1.376
-7.621 -3.108 7.314


MnCu8Sb3S13N6 GGA-PBE relaxed; crystal system = cubic; total DFT energy (no corrections) = -277.29 eV for the cell shown; E (MP2020) = -4.7533 eV/atom; size of the total moment = 7.77 μB/f.u.; ΔE_f = 0.35 eV per atom; mass density = 3.47 g/cm³
1.0
0.000 8.813 8.813
8.813 0.000 8.813
8.813 8.813 0.000
S Cu Mn N Sb
26 16 2 12 6
Cartesian
14.528 10.856 8.813
3.097 6.770 8.813
11.910 8.813 6.770
6.770 8.813 14.528
10.856 8.813 14.528
0.000 0.000 0.000
10.856 11.910 8.813
3.097 10.856 8.813
8.813 6.770 5.715
8.813 3.097 6.770
5.715 8.813 10.856
8.813 8.813 8.813
11.910 8.813 10.856
6.770 8.813 3.097
8.813 14.528 6.770
10.856 8.813 3.097
8.813 3.097 10.856
10.856 5.715 8.813
8.813 6.770 11.910
6.770 5.715 8.813
6.770 11.910 8.813
8.813 14.528 10.856
14.528 6.770 8.813
8.813 10.856 11.910
8.813 10.856 5.715
5.715 8.813 6.770
7.322 7.322 7.322
7.322 10.304 7.322
10.304 16.135 10.304
10.304 7.322 7.322
10.304 10.304 10.304
1.491 1.491 1.491
7.322 7.322 1.491
7.322 7.322 10.304
10.304 7.322 10.304
10.304 10.304 7.322
10.304 10.304 16.135
1.491 7.322 7.322
16.135 16.135 16.135
16.135 10.304 10.304
7.322 1.491 7.322
7.322 10.304 10.304
4.406 4.406 4.406
13.219 13.219 13.219
13.219 11.380 13.219
13.219 15.058 13.219
11.380 13.219 13.219
15.058 13.219 13.219
6.246 4.406 4.406
13.219 13.219 15.058
13.219 13.219 11.380
4.406 4.406 6.246
2.567 4.406 4.406
4.406 2.567 4.406
4.406 6.246 4.406
4.406 4.406 2.567
13.219 8.813 8.813
8.813 8.813 4.406
4.406 8.813 8.813
8.813 4.406 8.813
8.813 13.219 8.813
8.813 8.813 13.219
*/

Let me say something now of the young prince and his spouse, whom we thus lost in such quick succession. Never did princess arrive amongst us so young with so much instruction, or with such capacity to profit by instruction. Her skilful father, who thoroughly knew our Court, had painted it to her, and had made her acquainted with the only manner of making herself happy there.

So true is Dr. Johnson's remark, that "men are seldom more innocently employed than when they are making money." The skilful combinations of civil government, though they usually follow natural leadings, as the lines of race, language, religion, and territory, yet require wisdom and conduct in the rulers, and in their result delight the imagination.

Seeing that such humours exist, we cannot deny that they are proper subjects for the imitations of art. But we conceive that the imitation of such humours, however skilful and amusing, is not an achievement of the highest order; and, as such humours are rare in real life, they ought, we conceive, to be sparingly introduced into works which profess to be pictures of real life.

Continue this, gradually descending, until the defective foot is reached and similarly treated. We have known even adults cured in this way, with perseverance. Ten or fifteen minutes of this treatment before a fire, or in a warm room, every night, will do wonders. A skilful surgeon can do much to remedy this, but one really skilful should be chosen. See Massage. Cold in the Head.